## Given
<<<
Below is a 15-piece molecular cluster, C21H72N8O15 overall in a non-equilibrium geometry, with properties calculated with wB97M-V/def2-TZVPD.

Each line ends with the Mulliken charge.
Atoms and positions in Å:
H 2.8905 -3.4767 -0.2646  0.305
C 0.8135 -3.1517 -1.8096  -1.423
C -4.2035 -0.2687 3.0564  -0.803
H 1.8205 -3.5787 -1.8566  0.562
C 0.4715 -0.0317 0.7954  0.555
H 1.8255 3.8553 -1.9946  0.369
H -3.7195 3.9263 -0.9666  0.247
O -0.6725 2.4713 2.4994  -0.699
H -0.5945 0.4113 -6.4496  0.447
H 2.9815 4.7933 0.8534  0.334
H 2.6095 0.5713 1.9864  -0.325
H -1.5925 4.0533 -0.6306  0.338
H -4.2985 -3.6907 -1.0746  0.464
O -3.6875 -3.9547 -3.8116  -0.572
H 3.3795 2.6133 1.0234  0.139
C 0.2435 -3.3837 -0.4456  2.307
C -2.1375 2.0573 -2.9536  -0.405
H 0.6635 -3.0157 3.2654  0.081
H 3.8145 -4.2297 2.3294  0.334
H -2.4745 -0.5777 2.3924  0.078
O 3.5195 -3.9207 0.2704  -0.563
H 0.7615 -0.7097 4.7024  0.231
N -0.8835 4.1803 0.0964  -0.096
H 0.8085 2.5243 -1.4896  -0.124
O -1.9585 -4.8367 2.3494  -0.769
H -1.7815 -3.4677 -4.3566  0.443
H 2.3365 0.7663 -2.4446  -0.036
H -0.2655 -1.2097 -4.7666  0.242
H -0.1115 -0.0287 -1.2486  -0.717
O -2.9235 3.5783 -1.3816  -0.594
O 0.2395 0.0723 5.0034  -0.468
H 0.8075 -2.9367 0.3954  -0.257
N 4.7985 -1.4817 2.1284  -0.358
H 0.7095 3.8593 3.1134  0.556
H -1.4885 0.8843 -5.1546  0.272
H -4.2725 2.3633 -2.2236  0.451
H -0.7495 3.4523 0.8154  0.040
H -0.4785 2.7443 -5.2986  0.366
H -3.3135 -1.7747 -2.2896  0.297
H -0.9735 -0.8447 6.3404  0.324
H 5.2545 -2.2807 1.5654  0.356
H -2.1955 2.7013 -3.8506  0.504
H 2.5045 -3.1877 1.9054  -0.211
O -0.0685 -0.0857 2.0644  1.190
C -2.6385 -1.8437 -3.0956  -0.025
H -3.8105 0.0373 4.0174  0.201
H 0.8955 -2.1257 -2.0556  0.084
N 3.3825 0.0423 2.3324  0.062
C 3.9265 -0.7577 1.4694  0.520
H 1.2705 -0.4217 -4.9526  0.540
C -3.2415 2.3413 -1.8776  -0.313
H 1.8955 2.1113 -3.7476  0.373
H 0.3405 0.0113 -3.6326  -0.684
H 3.6255 0.2533 3.2844  0.285
N -0.1285 5.9953 -0.9866  -0.385
O 1.2315 5.0103 0.7444  -0.731
H 0.3415 -4.6317 3.5344  0.304
C 1.8175 2.7983 -1.7156  -0.185
N 4.0085 2.8913 1.7624  0.158
H 4.4915 2.2623 2.4004  0.202
H -1.2785 -1.2917 4.6424  0.123
H -3.5115 -4.7847 -4.2546  0.346
H 1.2635 2.7703 1.8604  -0.164
N -1.3915 -2.5597 2.0484  1.272
H 3.4575 2.9643 -0.7726  0.277
H 2.3375 -4.8527 1.6204  0.432
N 3.9815 4.8943 1.0214  -0.209
H -1.4365 -0.6597 -0.2276  -0.968
C -0.6135 0.0823 -0.2746  1.536
O 0.1845 2.0713 -5.5586  -0.558
H -5.0215 0.3023 2.7614  0.271
O 2.5885 2.5693 -0.5716  -0.686
O 0.1005 -4.7687 -0.1396  -0.762
H -2.0905 -3.7607 -2.5786  0.035
O 3.5815 -0.8927 0.1204  -0.616
C -1.0555 -0.4087 5.3024  -0.416
C -2.4765 -3.2817 -3.4866  -0.565
H -1.7775 0.4203 5.2324  0.146
H -4.3285 -1.3497 3.0454  0.289
C 0.2615 -0.2597 -4.6446  0.135
H 1.0805 0.8213 0.7794  -0.551
C 2.3605 1.8833 -2.8126  -1.046
H 0.1435 -3.6037 -2.5936  0.229
H -0.2335 0.8133 2.1964  0.049
H -0.7585 -1.7787 2.2464  -0.778
H -1.1325 1.0133 -0.1806  -0.012
H 1.1235 2.0613 3.3884  0.271
H -3.0075 -1.3217 -4.0106  0.468
O -3.2685 -2.3417 0.2414  -0.879
H 4.3505 5.7823 1.1834  0.292
C -3.6385 -3.6967 -0.2126  -0.672
H -2.7555 -4.3827 -0.4036  0.070
O -3.1635 0.0623 2.1834  -0.292
C -1.1045 -3.7387 2.4934  -0.450
H -2.2895 1.0063 -3.1856  -0.057
H 4.8455 -1.5127 3.1584  0.170
O 5.3155 4.4173 2.9274  -0.785
C 3.0385 -4.0737 1.5524  -0.379
C -0.4755 0.8223 -5.4716  -0.716
C 0.0585 5.1053 0.0004  0.495
H -3.9495 -1.7477 -0.0426  0.335
H -3.0585 1.6883 -1.0166  0.087
H -1.6245 -1.4347 -2.8006  -0.367
H -4.1805 -4.2677 0.4924  0.394
H -1.0165 5.9313 -1.5126  0.167
C 0.6745 2.8383 2.7464  -0.512
H 1.1545 -0.8217 0.6864  -0.220
H -2.1645 -2.5267 1.3574  -0.075
H 0.6205 6.5623 -1.3696  0.255
H 3.3775 2.1503 -2.9896  0.653
H -0.2985 -4.8047 0.7384  0.509
C 4.3785 4.1143 1.9644  0.254
H -0.7465 -2.8497 -0.3476  -0.940
H -1.1235 2.6953 3.3414  0.214
H -1.1755 2.0323 -2.5476  0.033
N 0.0565 -3.8267 3.0014  0.054

Results
>>>
## To do
Now find the line above that holds "-0.379", then copy that line and all lines after it there.
## Written answer
C 3.0385 -4.0737 1.5524  -0.379
C -0.4755 0.8223 -5.4716  -0.716
C 0.0585 5.1053 0.0004  0.495
H -3.9495 -1.7477 -0.0426  0.335
H -3.0585 1.6883 -1.0166  0.087
H -1.6245 -1.4347 -2.8006  -0.367
H -4.1805 -4.2677 0.4924  0.394
H -1.0165 5.9313 -1.5126  0.167
C 0.6745 2.8383 2.7464  -0.512
H 1.1545 -0.8217 0.6864  -0.220
H -2.1645 -2.5267 1.3574  -0.075
H 0.6205 6.5623 -1.3696  0.255
H 3.3775 2.1503 -2.9896  0.653
H -0.2985 -4.8047 0.7384  0.509
C 4.3785 4.1143 1.9644  0.254
H -0.7465 -2.8497 -0.3476  -0.940
H -1.1235 2.6953 3.3414  0.214
H -1.1755 2.0323 -2.5476  0.033
N 0.0565 -3.8267 3.0014  0.054

Results